144. Transcript of a Telephone Conversation Between Secretary of State Rogers and the President’s Assistant for National Security Affairs (Kissinger)1
Record 1
Below is an optimized crystal structure of Ca2CuS2O2, with properties calculated at the GGA-PBE level.

POSCAR file:
```
Ca2CuS2O2
1.0
3.8625 0.0000 0.0000
0.0000 3.8625 0.0000
0.0000 0.0000 7.7455
Ca Cu S O
2 1 2 2
Cartesian
1.9312 1.9312 5.4847 Ca
1.9312 1.9312 2.2608 Ca
0.0000 0.0000 3.8727 Cu
0.0000 0.0000 6.6742 S
0.0000 0.0000 1.0713 S
0.0000 1.9312 3.8727 O
1.9312 0.0000 3.8727 O
```

The value obtained for the formation energy is -1.94 eV/atom. The space group is P4/mmm, No. 123. The magnetic moment comes out at 0.01 μB/cell. The value obtained for the density is 3.45 g/cm³.

=====

Record 2
Below is an optimized crystal structure of Sc2C, with properties calculated at the GGA-PBE level.

POSCAR file:
```
Sc2C
1.0
-1.6626 -2.8797 0.0000
-1.6626 2.8797 0.0000
0.0000 0.0000 -5.6683
Sc C
2 1
Cartesian
-1.6626 -0.9599 -1.6009 Sc
-1.6626 0.9599 -4.0674 Sc
0.0000 0.0000 -2.8341 C
```

The value obtained for the formation energy is -0.42 eV/atom. The space group is P-3m1, No. 164. The value obtained for the density is 3.12 g/cm³.

=====

Record 3
Below is an optimized crystal structure of Na8BeAl4Si7Br2O24, with properties calculated at the GGA-PBE level.

POSCAR file:
```
Na8BeAl4Si7Br2O24
1.0
-5.2040 5.6662 4.7534
-7.3565 -4.5656 -2.6115
0.7678 -5.3994 7.2768
Na Be Al Si Br O
8 1 4 7 2 24
Cartesian
-3.2821 -0.6555 0.5295 Na
-4.2713 -2.0862 9.5974 Na
-6.8441 -6.9758 6.2407 Na
-9.1878 1.1198 2.4699 Na
-9.2507 -2.6937 5.2824 Na
-5.8431 -4.5860 2.2729 Na
-6.0337 0.8791 6.3481 Na
-2.4578 -2.1971 4.9341 Na
0.3839 -2.6997 3.6384 Be
-7.0129 -2.0689 7.7296 Al
-7.9461 -1.9472 2.2330 Al
-4.2307 0.3497 3.5453 Al
-4.3957 -4.9312 5.3297 Al
0.0000 0.0000 0.0000 Si
-6.2802 0.5503 1.0710 Si
-11.0857 -1.6256 2.8574 Si
-1.0837 -0.0237 2.9907 Si
-5.8963 -2.1494 4.7094 Si
-6.3884 0.5221 9.5317 Si
-5.0275 -7.4704 3.4577 Si
-2.0241 -1.2306 7.8533 Br
-3.4883 -3.6186 0.4945 Br
-4.5100 -4.9621 7.0706 O
-6.3395 -1.0067 8.9570 O
-5.0001 -6.4783 4.7557 O
-10.6090 -3.3131 8.8777 O
-6.6619 -3.7027 8.2322 O
-5.3580 0.9436 2.3530 O
-7.7465 -4.1180 -1.0906 O
-0.5709 -5.2947 6.3483 O
-4.6589 4.1281 4.7022 O
-7.0555 -0.8765 1.1817 O
-9.5593 -1.2696 2.3958 O
-11.2166 -1.6693 4.4502 O
-7.8532 -3.5092 1.4496 O
-4.2715 1.5454 4.8222 O
-2.6864 0.1569 2.7290 O
-4.6621 -1.2096 4.1942 O
-0.7351 -1.5114 3.4615 O
-6.0472 -6.9439 2.3445 O
-6.2694 -1.6325 6.2145 O
-7.2768 -2.0608 3.8385 O
-5.5865 1.5269 8.5813 O
-5.3770 -3.6947 4.5902 O
-2.7067 -4.6076 5.0061 O
-8.7539 -2.0263 7.5595 O
```

The value obtained for the formation energy is -2.95 eV/atom. The space group is P-4, No. 81. The magnetic moment comes out at 0.00 μB/cell. The value obtained for the density is 2.32 g/cm³.

=====

Record 4
Below is an optimized crystal structure of MgTiGe2O6, with properties calculated at the GGA-PBE level.

POSCAR file:
```
MgTiGe2O6
1.0
4.3124 5.3230 0.0000
-4.3124 5.3230 0.0000
0.0000 1.0554 5.0326
Mg Ti Ge O
2 2 4 12
Cartesian
1.6782 5.5868 1.2582 Mg
-1.6782 6.1145 3.7745 Mg
Back to the entry:
R: I have had McCloskey go in2 and he won’t refer to this.
K: We can’t do anything about it now anyway. What the President wants is to give the announcement here and give the backgrounding to you.
R: What is the announcement? I understand “Godspeed” is in there.
K: We got the lines from you.
R: But if the thing falls through, which it might, and they had the statement from the President he’d have egg on his face. I am willing to take some risks, but I’m not sure the President should.
K: When should it be done?
(These materials data were left in the article by mistake)
********
[1]
First-principles (PBE-GGA) data for a relaxed H24PdC8N2Cl4 crystal, as listed in Materials Project.

Cell: 8.9806 8.9806 11.5935 Å, 90.00 90.00 90.00°
Fractional positions:
H (0.0246, 0.6622, 0.1190)
H (0.9754, 0.3378, 0.1190)
H (0.4754, 0.1622, 0.6190)
H (0.5246, 0.8378, 0.6190)
H (0.9754, 0.3378, 0.8810)
H (0.0246, 0.6622, 0.8810)
H (0.5246, 0.8378, 0.3810)
H (0.4754, 0.1622, 0.3810)
H (0.6622, 0.0246, 0.1190)
H (0.3378, 0.9754, 0.1190)
H (0.1622, 0.4754, 0.6190)
H (0.8378, 0.5246, 0.6190)
H (0.3378, 0.9754, 0.8810)
H (0.6622, 0.0246, 0.8810)
H (0.8378, 0.5246, 0.3810)
H (0.1622, 0.4754, 0.3810)
H (0.8445, 0.5716, 0.1243)
H (0.1555, 0.4284, 0.1243)
H (0.6555, 0.0716, 0.6243)
H (0.3445, 0.9284, 0.6243)
H (0.1555, 0.4284, 0.8757)
H (0.8445, 0.5716, 0.8757)
H (0.3445, 0.9284, 0.3757)
H (0.6555, 0.0716, 0.3757)
H (0.5716, 0.8445, 0.1243)
H (0.4284, 0.1555, 0.1243)
H (0.0716, 0.6555, 0.6243)
H (0.9284, 0.3445, 0.6243)
H (0.4284, 0.1555, 0.8757)
H (0.5716, 0.8445, 0.8757)
H (0.9284, 0.3445, 0.3757)
H (0.0716, 0.6555, 0.3757)
H (0.8951, 0.7099, 0.2306)
H (0.1049, 0.2901, 0.2306)
H (0.6049, 0.2099, 0.7306)
H (0.3951, 0.7901, 0.7306)
H (0.1049, 0.2901, 0.7694)
H (0.8951, 0.7099, 0.7694)
H (0.3951, 0.7901, 0.2694)
H (0.6049, 0.2099, 0.2694)
H (0.7099, 0.8951, 0.2306)
H (0.2901, 0.1049, 0.2306)
H (0.2099, 0.6049, 0.7306)
H (0.7901, 0.3951, 0.7306)
H (0.2901, 0.1049, 0.7694)
H (0.7099, 0.8951, 0.7694)
H (0.7901, 0.3951, 0.2694)
H (0.2099, 0.6049, 0.2694)
Pd (0.5000, 0.5000, 0.0000)
Pd (0.0000, 0.0000, 0.5000)
C (0.9355, 0.6200, 0.1750)
C (0.0645, 0.3800, 0.1750)
C (0.5645, 0.1200, 0.6750)
C (0.4355, 0.8800, 0.6750)
C (0.0645, 0.3800, 0.8250)
C (0.9355, 0.6200, 0.8250)
C (0.4355, 0.8800, 0.3250)
C (0.5645, 0.1200, 0.3250)
C (0.6200, 0.9355, 0.1750)
C (0.3800, 0.0645, 0.1750)
C (0.1200, 0.5645, 0.6750)
C (0.8800, 0.4355, 0.6750)
C (0.3800, 0.0645, 0.8250)
C (0.6200, 0.9355, 0.8250)
C (0.8800, 0.4355, 0.3250)
C (0.1200, 0.5645, 0.3250)
N (0.0000, 0.5000, 0.2500)
N (0.5000, 0.0000, 0.7500)
N (0.0000, 0.5000, 0.7500)
N (0.5000, 0.0000, 0.2500)
Cl (0.5000, 0.5000, 0.7995)
Cl (0.0000, 0.0000, 0.2995)
Cl (0.5000, 0.5000, 0.2005)
Cl (0.0000, 0.0000, 0.7005)
Cl (0.3156, 0.6844, 0.0000)
Cl (0.6844, 0.3156, 0.0000)
Cl (0.1844, 0.1844, 0.5000)
Cl (0.8156, 0.8156, 0.5000)

ρ: 1.4 Mg/m³
raw total energy: -389.0 eV per cell
magnetic moment: 0.0 μB per formula unit

***

[2]
First-principles (PBE-GGA) data for a relaxed H16PdC4S4N8Cl2 crystal, as listed in Materials Project.

Cell: 8.4314 13.2361 15.4413 Å, 90.00 90.00 90.00°
Fractional positions:
H (0.4863, 0.2993, 0.7182)
H (0.5137, 0.7007, 0.2182)
H (0.9863, 0.2007, 0.2182)
H (0.0137, 0.7993, 0.7182)
H (0.4073, 0.3536, 0.8110)
H (0.5927, 0.6464, 0.3110)
H (0.9073, 0.1464, 0.3110)
H (0.0927, 0.8536, 0.8110)
H (0.8864, 0.3693, 0.7720)
H (0.1136, 0.6307, 0.2720)
H (0.3864, 0.1307, 0.2720)
H (0.6136, 0.8693, 0.7720)
H (0.7644, 0.3312, 0.6853)
H (0.2356, 0.6688, 0.1853)
H (0.2644, 0.1688, 0.1853)
********
(So much for the materials data)
R: Well, we said 12:00. It’s now 12:30. But if you announce it you are going to get a million questions that can’t be answered.3
## Someone pasted materials data at this point
1.
{
  "formula": "Sr2CrN2",
  "functional": "PBE",
  "state": "optimized geometry",
  "sg": "Cmce, No. 64",
  "cell": [[6.329, 0.091, 0.000], [10.373, 4.961, 0.000], [0.000, 0.000, 12.450]],
  "species": ["N", "N", "N", "N", "N", "N", "N", "N", "Sr", "Sr", "Sr", "Sr", "Sr", "Sr", "Sr", "Sr", "Cr", "Cr", "Cr", "Cr"],
  "frac_coords": [[0.000, 0.092, 0.140], [0.000, 0.337, 0.069], [0.000, 0.908, 0.860], [0.000, 0.592, 0.360], [0.000, 0.408, 0.640], [0.000, 0.663, 0.931], [0.000, 0.163, 0.569], [0.000, 0.837, 0.431], [0.000, 0.947, 0.644], [0.000, 0.354, 0.431], [0.000, 0.146, 0.931], [0.000, 0.646, 0.569], [0.000, 0.854, 0.069], [0.000, 0.553, 0.144], [0.000, 0.053, 0.356], [0.000, 0.447, 0.856], [0.000, 0.262, 0.673], [0.000, 0.238, 0.173], [0.000, 0.762, 0.827], [0.000, 0.738, 0.327]]
}

2.
{
  "formula": "Ta3Cr3N",
  "functional": "PBE",
  "state": "optimized geometry",
  "sg": "Fd-3m, No. 227",
  "cell": [[6.763, -1.308, -4.272], [3.811, -7.134, 0.527], [-0.101, -5.123, -6.280]],
  "species": ["N", "N", "N", "N", "Cr", "Cr", "Cr", "Cr", "Cr", "Cr", "Cr", "Cr", "Cr", "Cr", "Cr", "Cr", "Ta", "Ta", "Ta", "Ta", "Ta", "Ta", "Ta", "Ta", "Ta", "Ta", "Ta", "Ta"],
  "frac_coords": [[0.125, 0.625, 0.125], [0.125, 0.125, 0.125], [0.125, 0.125, 0.625], [0.625, 0.125, 0.125], [0.625, 0.625, 0.125], [0.625, 0.625, 0.625], [0.829, 0.829, 0.829], [0.421, 0.421, 0.736], [0.421, 0.736, 0.421], [0.736, 0.421, 0.421], [0.421, 0.421, 0.421], [0.125, 0.625, 0.625], [0.829, 0.829, 0.514], [0.625, 0.125, 0.625], [0.514, 0.829, 0.829], [0.829, 0.514, 0.829], [0.057, 0.443, 0.443], [0.057, 0.057, 0.443], [0.443, 0.057, 0.057], [0.807, 0.193, 0.807], [0.807, 0.807, 0.193], [0.807, 0.193, 0.193], [0.193, 0.807, 0.807], [0.057, 0.443, 0.057], [0.443, 0.443, 0.057], [0.443, 0.057, 0.443], [0.193, 0.807, 0.193], [0.193, 0.193, 0.807]]
}

3.
{
  "formula": "Ta3Cr5N4",
  "functional": "PBE",
  "state": "optimized geometry",
  "sg": "P4mm, No. 99",
  "cell": [[-0.519, 2.809, -0.874], [-2.269, -0.947, -1.696], [-9.135, 1.800, 11.218]],
  "species": ["N", "N", "N", "N", "Cr", "Cr", "Cr", "Cr", "Cr", "Ta", "Ta", "Ta"],
  "frac_coords": [[0.500, 0.500, 0.653], [0.000, 0.000, 0.024], [0.000, 0.000, 0.519], [0.500, 0.500, 0.158], [0.500, 0.500, 0.286], [0.500, 0.500, 0.796], [0.000, 0.000, 0.375], [0.000, 0.000, 0.173], [0.000, 0.000, 0.882], [0.500, 0.500, 0.494], [0.000, 0.000, 0.677], [0.500, 0.500, 0.005]]
}

4.
{
  "formula": "CrTeN",
  "functional": "PBE",
  "state": "optimized geometry",
  "sg": "P4/nmm, No. 129",
  "cell": [[-3.029, 0.781, 1.153], [-1.147, -2.965, -1.004], [2.267, -3.753, 8.495]],
  "species": ["Cr", "Cr", "N", "N", "Te", "Te"],
  "frac_coords": [[0.000, 0.500, 0.894], [0.500, 0.000, 0.106], [0.500, 0.500, 0.000], [0.000, 0.000, 0.000], [0.000, 0.500, 0.298], [0.500, 0.000, 0.702]]
}

In eV/f.u., the corrected total energy (MP2020 scheme) values for the records above are, in order, -33.26, -76.39, -126.48, -21.39.
K: The UAR hasn’t agreed to it yet.
R: We were going to say that there are rules, but we’re not releasing them now. We may now have ruined the thing.
[Page 496]K: Not me because you haven’t been talking to me.
R: These things are operational and I think I should take the lead. This meeting last night4 screwed it up so badly . . .
K: Don’t be ridiculous.
R: I’m not being ridiculous.
K: You are being absurd. The thing was totally screwed up and everything I did was checked with Sisco. He said Mrs. Meir was about to resign . . .
R: You either have somebody running the operation or you don’t.
K: If you have a complaint, talk to the President. I am sick and tired of this. If he has a message for the President he isn’t going to give it to you. I was at a dinner last night. I had an urgent call. I came back to my office. As soon as I came in I called Sisco and Atherton for instructions.
R: He didn’t have a message for the President; he wanted to talk with you. When you have an audience with him they think they have two ways to play it. I don’t think it’s a good procedure. I am not saying you shouldn’t be involved . . .
K: I don’t want to be involved. I said I noted what he said and they would hear their answer from Sisco.
R: Well, you and I don’t see alike on these things. They need to have the idea that when we are acting we act pursuant to the President. If they have a feeling that there are two channels to the President they will use them differently.
K: I didn’t take it to the President. He doesn’t even know about it yet.
R: But they think you did. It would be helpful to me if, when all it is is carrying out orders, you would not take part in the discussions. When they have a message that’s different, but when they have a complaint about something they did with us, you should refer them to me or Sisco. I don’t think when you have such a critical matter they should have a feeling that they have got two ways to play it. They should think when we speak that we speak for the President.
K: There is no separate channel. Every conversation I have had I have sent you a memcon and I have checked every comment with Sisco and I have been told the fact that I backed Sisco has helped.
R: Why do you think they go to you?
K: To try to end run and get the President to overrule you.
R: That’s right.
K: But that has never happened.
[Page 497]R: But why give them the impression that it might.
K: I thought they were going to tell me that they had attacked the SAM sites across the Canal.
R: I’m not making any headway. I think this is operational—I don’t think you should see these people. Anyway, let me know what the President wants. When is Ron5 going to do it?
K: When we get word from you that we can.6
- Source: National Archives, Nixon Presidential Materials, NSC Files, Henry Kissinger Telephone Conversation Transcripts, Box 6, Chronological File. No classification marking.↩
- Department of State Spokesman Robert J. McCloskey. Reference is to the Department of State noon press briefing.↩
- McCloskey made the announcement at 1:45 p.m. EST in the name of the Secretary of State: “We have just been informed by the Governments of the United Arab Republic and Israel of their acceptance of the United States proposal for a standstill ceasefire to come into effect at 2200 Greenwich Mean Time today, Friday, August 7. We welcome this statesmanlike action taken by the leaders of the governments concerned. We hope this important decision will advance the prospects for a just and lasting peace in the Middle East.” (Department of State Bulletin, August 31, 1970, p. 244)↩
- Reference is to Kissinger’s 10 p.m. meeting on August 6 with Rabin and Argov concerning the cease-fire agreement. See Document 143.↩
- White House Press Secretary Ronald Ziegler.↩
- Referring to the disputes between Rogers and Kissinger over Middle East policy, Haldeman wrote that during a “long talk” about the issue with the President, Nixon said that Kissinger was “too self-concerned and inclined to overdramatize.” He also said that Kissinger was “overly concerned about anything that affects Israel,” but that the larger problem was that neither Rogers nor Kissinger would “really admit the other might be right.” (Haldeman Diaries: Multimedia Edition, July 16, 1970) A month later, Haldeman wrote that Kissinger’s admitted paranoia about “the State Department’s maneuvering” worried the President. Nixon commented that it “creates doubts about K[issinger]’s reliability on other recommendations, and gets in the way of his doing his work.” He added that Kissinger was “basically jealous of any idea not his own, and he just can’t swallow the apparent early success of the Middle East plan because it is Rogers’. In fact, he’s probably actually trying to make it fail for just this reason. Of all people, he has to keep his mind clean and clear, and instead he’s obsessed with these weird persecution delusions.” (Ibid., August 17, 1970)↩